(To do)
The reader should copy the part of the calculation results underneath that starts with the line with "(1)" and stops after the one with "-6.74237, -3.57809],".

(Listing)
........
(1)
{"formula": "C16H32AlAsClF11Li2MgN4O8S2", "method": "ωB97M-V with the def2-TZVPD basis set", "elements": ["N", "C", "C", "O", "S", "O", "O", "C", "C", "C", "C", "C", "C", "C", "S", "C", "N", "N", "C", "O", "H", "H", "H", "H", "H", "H", "H", "H", "H", "H", "H", "H", "H", "H", "H", "H", "H", "H", "H", "F", "As", "F", "F", "F", "F", "F", "Li", "F", "O", "H", "H", "C", "C", "C", "O", "C", "H", "H", "H", "H", "H", "H", "H", "H", "Li", "F", "Al", "F", "F", "F", "Mg", "C", "N", "O", "O", "H", "H", "H", "Cl"], "xyz": [[1.99077, 3.62175, 3.96249], [2.16436, 3.97149, 2.70885], [3.20783, 3.14238, 1.78872], [2.51297, 2.68876, 0.59057], [3.54162, 1.78416, -0.42837], [3.84831, 2.69444, -1.59616], [4.92472, 1.43108, 0.46254], [5.28918, 0.03315, 0.38910], [4.06992, -1.00286, 0.50022], [3.17146, -0.85273, 1.86598], [1.63876, -1.41231, 1.71561], [0.75514, -0.63595, 0.61291], [-0.75270, -0.41747, 1.15525], [-1.63443, -1.70692, 0.77037], [-3.19246, -1.04925, -0.06198], [-3.98185, 0.19588, 1.03186], [-4.31709, 0.02039, 2.40076], [-4.90692, 1.20871, 2.73266], [-4.92054, 2.08980, 1.60942], [-4.29987, 1.46498, 0.47448], [2.58498, 2.81418, 4.20995], [1.56880, 4.83385, 2.24434], [4.06793, 3.82918, 1.48259], [3.60933, 2.31273, 2.46000], [5.96957, -0.16579, 1.29892], [5.94661, -0.20424, -0.52534], [4.55454, -2.05735, 0.56952], [3.40015, -1.05109, -0.46888], [3.19949, 0.18718, 2.32786], [3.67816, -1.56044, 2.64352], [1.12546, -1.25160, 2.73399], [1.63699, -2.55003, 1.48896], [1.19445, 0.40894, 0.48359], [0.73168, -1.19210, -0.40182], [-1.13224, 0.56676, 0.62907], [-0.77358, -0.24641, 2.28366], [-1.89102, -2.29949, 1.72262], [-1.03500, -2.38007, 0.07626], [-5.39184, 3.13300, 1.68211], [7.79682, -2.96373, 4.47743], [8.00948, -2.31683, 2.82612], [8.02082, -0.65246, 3.48086], [6.21928, -2.21865, 2.63877], [8.20910, -1.66604, 1.17241], [7.98433, -3.97747, 2.16973], [9.78138, -2.40939, 3.01005], [2.66777, -2.61369, 0.29691], [-0.58262, 1.19672, -0.67547], [-5.86905, 5.25972, 1.70575], [-6.68977, 5.76058, 1.78511], [-5.18113, 5.93655, 1.70165], [-4.43707, -0.81869, -5.31138], [-4.20252, -0.26406, -3.92376], [-2.83397, -0.82703, -3.58355], [-2.12296, -0.95498, -4.82170], [-3.04300, -0.77358, -5.90609], [-5.16703, -0.25376, -5.89374], [-4.78190, -1.85598, -5.24352], [-4.15641, 0.82861, -3.96352], [-4.97641, -0.54814, -3.19970], [-2.91360, -1.82275, -3.13809], [-2.27270, -0.18408, -2.90083], [-2.83708, 0.20145, -6.36016], [-2.88246, -1.54891, -6.65834], [-5.70282, -1.03449, -1.27178], [-0.79846, 5.94316, 2.73404], [-1.79034, 4.65280, 2.05060], [-2.38323, 5.14948, 0.42470], [-3.17227, 4.34396, 3.10574], [-0.82500, 3.18628, 1.89854], [4.69202, -1.03813, 4.16498], [-3.35062, -5.78444, -4.05610], [-3.22504, -4.76543, -2.98160], [-4.00967, -3.82890, -2.99956], [-2.34550, -4.93868, -2.15889], [-4.17090, -5.50203, -4.71307], [-2.40820, -5.80392, -4.60179], [-3.55104, -6.74237, -3.57809], [-2.98570, 5.44870, -1.28972]], "mulliken_charge": [-0.653, -0.039, -0.012, -0.223, 0.531, -0.565, -0.374, -0.490, -1.353, 1.458, -1.493, 0.393, -0.869, -0.649, -0.073, 0.281, -0.258, -0.338, 0.107, -0.099, 0.241, 0.322, 0.338, -0.006, 0.031, 0.309, 0.700, 0.533, -0.057, -0.195, 0.389, 0.131, -0.180, 0.387, 0.487, 0.312, 0.260, 0.409, 0.264, -0.467, 1.915, -0.463, -0.444, -0.478, -0.482, -0.493, 0.980, -0.916, -0.586, 0.285, 0.264, -0.509, 0.383, 0.467, -0.434, -0.571, 0.345, 0.206, 0.401, -0.676, -0.354, 0.249, 0.295, 0.297, 0.930, -0.410, 0.524, 0.029, -0.419, -0.180, 0.200, -0.758, 0.852, -0.485, -0.505, 0.308, 0.305, 0.295, 0.142], "charge": 0, "homo_energy_ev": -6.0, "spin_multiplicity": 1, "lumo_energy_ev": -4.7, "homo_lumo_gap_ev": 1.322}

---

(2)
........

(Solution)
(1)
{"formula": "C16H32AlAsClF11Li2MgN4O8S2", "method": "ωB97M-V with the def2-TZVPD basis set", "elements": ["N", "C", "C", "O", "S", "O", "O", "C", "C", "C", "C", "C", "C", "C", "S", "C", "N", "N", "C", "O", "H", "H", "H", "H", "H", "H", "H", "H", "H", "H", "H", "H", "H", "H", "H", "H", "H", "H", "H", "F", "As", "F", "F", "F", "F", "F", "Li", "F", "O", "H", "H", "C", "C", "C", "O", "C", "H", "H", "H", "H", "H", "H", "H", "H", "Li", "F", "Al", "F", "F", "F", "Mg", "C", "N", "O", "O", "H", "H", "H", "Cl"], "xyz": [[1.99077, 3.62175, 3.96249], [2.16436, 3.97149, 2.70885], [3.20783, 3.14238, 1.78872], [2.51297, 2.68876, 0.59057], [3.54162, 1.78416, -0.42837], [3.84831, 2.69444, -1.59616], [4.92472, 1.43108, 0.46254], [5.28918, 0.03315, 0.38910], [4.06992, -1.00286, 0.50022], [3.17146, -0.85273, 1.86598], [1.63876, -1.41231, 1.71561], [0.75514, -0.63595, 0.61291], [-0.75270, -0.41747, 1.15525], [-1.63443, -1.70692, 0.77037], [-3.19246, -1.04925, -0.06198], [-3.98185, 0.19588, 1.03186], [-4.31709, 0.02039, 2.40076], [-4.90692, 1.20871, 2.73266], [-4.92054, 2.08980, 1.60942], [-4.29987, 1.46498, 0.47448], [2.58498, 2.81418, 4.20995], [1.56880, 4.83385, 2.24434], [4.06793, 3.82918, 1.48259], [3.60933, 2.31273, 2.46000], [5.96957, -0.16579, 1.29892], [5.94661, -0.20424, -0.52534], [4.55454, -2.05735, 0.56952], [3.40015, -1.05109, -0.46888], [3.19949, 0.18718, 2.32786], [3.67816, -1.56044, 2.64352], [1.12546, -1.25160, 2.73399], [1.63699, -2.55003, 1.48896], [1.19445, 0.40894, 0.48359], [0.73168, -1.19210, -0.40182], [-1.13224, 0.56676, 0.62907], [-0.77358, -0.24641, 2.28366], [-1.89102, -2.29949, 1.72262], [-1.03500, -2.38007, 0.07626], [-5.39184, 3.13300, 1.68211], [7.79682, -2.96373, 4.47743], [8.00948, -2.31683, 2.82612], [8.02082, -0.65246, 3.48086], [6.21928, -2.21865, 2.63877], [8.20910, -1.66604, 1.17241], [7.98433, -3.97747, 2.16973], [9.78138, -2.40939, 3.01005], [2.66777, -2.61369, 0.29691], [-0.58262, 1.19672, -0.67547], [-5.86905, 5.25972, 1.70575], [-6.68977, 5.76058, 1.78511], [-5.18113, 5.93655, 1.70165], [-4.43707, -0.81869, -5.31138], [-4.20252, -0.26406, -3.92376], [-2.83397, -0.82703, -3.58355], [-2.12296, -0.95498, -4.82170], [-3.04300, -0.77358, -5.90609], [-5.16703, -0.25376, -5.89374], [-4.78190, -1.85598, -5.24352], [-4.15641, 0.82861, -3.96352], [-4.97641, -0.54814, -3.19970], [-2.91360, -1.82275, -3.13809], [-2.27270, -0.18408, -2.90083], [-2.83708, 0.20145, -6.36016], [-2.88246, -1.54891, -6.65834], [-5.70282, -1.03449, -1.27178], [-0.79846, 5.94316, 2.73404], [-1.79034, 4.65280, 2.05060], [-2.38323, 5.14948, 0.42470], [-3.17227, 4.34396, 3.10574], [-0.82500, 3.18628, 1.89854], [4.69202, -1.03813, 4.16498], [-3.35062, -5.78444, -4.05610], [-3.22504, -4.76543, -2.98160], [-4.00967, -3.82890, -2.99956], [-2.34550, -4.93868, -2.15889], [-4.17090, -5.50203, -4.71307], [-2.40820, -5.80392, -4.60179], [-3.55104, -6.74237, -3.57809], [-2.98570, 5.44870, -1.28972]], "mulliken_charge": [-0.653, -0.039, -0.012, -0.223, 0.531, -0.565, -0.374, -0.490, -1.353, 1.458, -1.493, 0.393, -0.869, -0.649, -0.073, 0.281, -0.258, -0.338, 0.107, -0.099, 0.241, 0.322, 0.338, -0.006, 0.031, 0.309, 0.700, 0.533, -0.057, -0.195, 0.389, 0.131, -0.180, 0.387, 0.487, 0.312, 0.260, 0.409, 0.264, -0.467, 1.915, -0.463, -0.444, -0.478, -0.482, -0.493, 0.980, -0.916, -0.586, 0.285, 0.264, -0.509, 0.383, 0.467, -0.434, -0.571, 0.345, 0.206, 0.401, -0.676, -0.354, 0.249, 0.295, 0.297, 0.930, -0.410, 0.524, 0.029, -0.419, -0.180, 0.200, -0.758, 0.852, -0.485, -0.505, 0.308, 0.305, 0.295, 0.142], "charge": 0, "homo_energy_ev": -6.0, "spin_multiplicity": 1, "lumo_energy_ev": -4.7, "homo_lumo_gap_ev": 1.322}